____________
Entry 1:
# PBE-GGA LiSnPO4, relaxed
data_LiSnPO4
_symmetry_space_group_name_H-M 'P 1'
_symmetry_Int_Tables_number 1
_cell_length_a 5.593
_cell_length_b 8.154
_cell_length_c 9.441
_cell_angle_alpha 76.68
_cell_angle_beta 89.18
_cell_angle_gamma 79.58
loop_
_symmetry_equiv_pos_as_xyz
'x,y,z'
loop_
_atom_site_label
_atom_site_type_symbol
_atom_site_fract_x
_atom_site_fract_y
_atom_site_fract_z
Li1 Li 0.132 0.491 0.370
Li2 Li 0.251 0.962 0.184
Li3 Li 0.749 0.038 0.816
Li4 Li 0.868 0.509 0.630
Sn1 Sn 0.233 0.654 0.908
Sn2 Sn 0.248 0.127 0.610
Sn3 Sn 0.752 0.873 0.390
Sn4 Sn 0.767 0.346 0.092
P1 P 0.184 0.247 0.894
P2 P 0.289 0.750 0.547
P3 P 0.711 0.250 0.453
P4 P 0.816 0.753 0.106
O1 O 0.008 0.827 0.175
O2 O 0.103 0.646 0.508
O3 O 0.119 0.448 0.829
O4 O 0.151 0.217 0.065
O5 O 0.198 0.810 0.691
O6 O 0.277 0.920 0.427
O7 O 0.437 0.168 0.854
O8 O 0.447 0.346 0.429
O9 O 0.553 0.654 0.571
O10 O 0.563 0.832 0.146
O11 O 0.723 0.080 0.573
O12 O 0.802 0.190 0.309
O13 O 0.849 0.783 0.935
O14 O 0.881 0.552 0.171
O15 O 0.897 0.354 0.492
O16 O 0.992 0.173 0.825
# ΔH_f (0 K) in eV/f.u.: -16.76

---

Entry 2:
# PBE-GGA LiSn4P3O12, relaxed
data_LiSn4P3O12
_symmetry_space_group_name_H-M 'P 1'
_symmetry_Int_Tables_number 1
_cell_length_a 9.695
_cell_length_b 9.695
_cell_length_c 7.106
_cell_angle_alpha 90.00
_cell_angle_beta 90.00
_cell_angle_gamma 120.00
loop_
_symmetry_equiv_pos_as_xyz
'x,y,z'
loop_
_atom_site_label
_atom_site_type_symbol
_atom_site_fract_x
_atom_site_fract_y
_atom_site_fract_z
Li1 Li 0.333 0.667 0.000
Li2 Li 0.667 0.333 0.500
Sn1 Sn 0.017 0.259 0.710
Sn2 Sn 0.242 0.983 0.710
Sn3 Sn 0.259 0.242 0.210
Sn4 Sn 0.333 0.667 0.434
Sn5 Sn 0.667 0.333 0.934
Sn6 Sn 0.741 0.758 0.710
Sn7 Sn 0.758 0.017 0.210
Sn8 Sn 0.983 0.741 0.210
P1 P 0.017 0.615 0.714
P2 P 0.385 0.402 0.714
P3 P 0.402 0.017 0.214
P4 P 0.598 0.983 0.714
P5 P 0.615 0.598 0.214
P6 P 0.983 0.385 0.214
O1 O 0.072 0.728 0.888
O2 O 0.086 0.728 0.540
O3 O 0.098 0.510 0.725
O4 O 0.166 0.492 0.200
O5 O 0.272 0.344 0.888
O6 O 0.272 0.357 0.540
O7 O 0.326 0.834 0.200
O8 O 0.344 0.072 0.388
O9 O 0.357 0.086 0.040
O10 O 0.411 0.902 0.725
O11 O 0.490 0.589 0.725
O12 O 0.492 0.326 0.700
O13 O 0.508 0.674 0.200
O14 O 0.510 0.411 0.225
O15 O 0.589 0.098 0.225
O16 O 0.643 0.914 0.540
O17 O 0.656 0.928 0.888
O18 O 0.674 0.166 0.700
O19 O 0.728 0.643 0.040
O20 O 0.728 0.656 0.388
O21 O 0.834 0.508 0.700
O22 O 0.902 0.490 0.225
O23 O 0.914 0.272 0.040
O24 O 0.928 0.272 0.388
# Energy above the lowest structure with this stoichiometry in eV/atom: 0.009
# ΔH_f (0 K) in eV/f.u.: -46.37

---

Entry 3:
# PBE-GGA LiSn4P3O12, relaxed
data_LiSn4P3O12
_symmetry_space_group_name_H-M 'P 1'
_symmetry_Int_Tables_number 1
_cell_length_a 10.005
_cell_length_b 10.005
_cell_length_c 10.005
_cell_angle_alpha 58.55
_cell_angle_beta 58.55
_cell_angle_gamma 58.55
loop_
_symmetry_equiv_pos_as_xyz
'x,y,z'
loop_
_atom_site_label
_atom_site_type_symbol
_atom_site_fract_x
_atom_site_fract_y
_atom_site_fract_z
Li1 Li 0.000 0.000 0.000
Li2 Li 0.500 0.500 0.500
Sn1 Sn 0.286 0.415 0.956
Sn2 Sn 0.353 0.353 0.353
Sn3 Sn 0.415 0.956 0.286
Sn4 Sn 0.456 0.915 0.786
Sn5 Sn 0.786 0.456 0.915
Sn6 Sn 0.853 0.853 0.853
Sn7 Sn 0.915 0.786 0.456
Sn8 Sn 0.956 0.286 0.415
P1 P 0.214 0.309 0.752
P2 P 0.252 0.809 0.714
P3 P 0.309 0.752 0.214
P4 P 0.714 0.252 0.809
P5 P 0.752 0.214 0.309
P6 P 0.809 0.714 0.252
O1 O 0.043 0.388 0.871
O2 O 0.068 0.923 0.728
O3 O 0.132 0.785 0.232
O4 O 0.228 0.423 0.568
O5 O 0.232 0.132 0.785
O6 O 0.285 0.632 0.732
O7 O 0.287 0.800 0.854
O8 O 0.300 0.787 0.354
O9 O 0.354 0.300 0.787
O10 O 0.371 0.888 0.543
O11 O 0.388 0.871 0.043
O12 O 0.423 0.568 0.228
O13 O 0.543 0.371 0.888
O14 O 0.568 0.228 0.423
O15 O 0.632 0.732 0.285
O16 O 0.728 0.068 0.923
O17 O 0.732 0.285 0.632
O18 O 0.785 0.232 0.132
O19 O 0.787 0.354 0.300
O20 O 0.800 0.854 0.287
O21 O 0.854 0.287 0.800
O22 O 0.871 0.043 0.388
O23 O 0.888 0.543 0.371
O24 O 0.923 0.728 0.068
____________

Please restate every line earlier on that contains the word "Sn5".

Sn5 Sn 0.667 0.333 0.934
Sn5 Sn 0.786 0.456 0.915